**Brief**
Transcribe all of the entries further down without additions.

**File**
~~~
Li2HoHf2S6 | Alexandria via LeMat-Bulk | GGA-PBE | optimized geometry; energy relative to the elements, uncorrected = -1644.0 meV/atom; D(E_F) = 3.67 states/eV/cell; symmetry = C2/m
1.0
-3.294 -4.829 2.693
6.252 -0.684 -1.365
0.471 3.998 5.192
S Ho Hf Li
6 1 2 2
Cartesian
2.779 2.299 3.473
0.649 -3.813 3.047
2.520 -1.068 4.838
4.011 -2.354 1.618
0.909 -0.446 1.682
-0.582 0.839 4.902
0.236 1.999 2.596
0.136 -1.442 3.931
3.293 -0.072 2.589
4.669 -1.371 -0.692
-1.711 -4.141 2.020

=====

1.
SrAsPd2C | PBE-GGA | optimized geometry

Energy of formation = 1.884 eV per atom
M_tot = 0.77 μB/cell

abc: 5.2081 4.5856 5.2081
angles: 90.00 90.00 90.00
Site moments in Bohr magnetons follow the coordinates.
Element x y z (fractional)
Sr (0.0000, 0.0000, 0.0000)  0.04
As (0.5000, 0.5000, 0.5000)  -0.18
C (0.0000, 0.5000, 0.0000)  0.55
Pd (0.0000, 0.0000, 0.5000)  0.04
Pd (0.5000, 0.0000, 0.0000)  0.00



2.
In2P | PBE-GGA | optimized geometry

Energy of formation = 0.195 eV per atom
M_tot = 0.00 μB/cell
Distance to the lowest polymorph of the same formula = 0.229 eV per atom

abc: 4.9752 4.9752 6.5138
angles: 90.00 90.00 120.00
Element x y z (fractional)
In (0.0000, 0.0000, 0.0000)
In (0.0000, 0.0000, 0.5000)
In (0.3333, 0.6667, 0.2500)
In (0.6667, 0.3333, 0.7500)
P (0.6667, 0.3333, 0.2500)
P (0.3333, 0.6667, 0.7500)



3.
YZr2H2 | PBE-GGA | optimized geometry

M_tot = 0.00 μB/cell
Distance to the lowest polymorph of the same formula = 0.000 eV per atom

abc: 3.9261 3.9261 6.1891
angles: 71.51 71.51 90.00
Element x y z (fractional)
Y (0.0000, 0.0000, 0.0000)
H (0.7500, 0.2500, 0.5000)
H (0.2500, 0.7500, 0.5000)
Zr (0.3096, 0.3096, 0.3808)
Zr (0.6904, 0.6904, 0.6192)



4.
La2Pr2DyY4 | PBE-GGA | optimized geometry

Energy of formation = 0.004 eV per atom
M_tot = 0.00 μB/cell

abc: 3.6764 9.6914 9.7596
angles: 115.22 90.00 100.93
Element x y z (fractional)
La (0.3354, 0.6707, 0.9999)
La (0.6646, 0.3293, 0.0001)
Pr (0.8527, 0.7054, 0.3362)
Pr (0.1473, 0.2946, 0.6638)
Dy (0.0000, 0.0000, 0.0000)
Y (0.8152, 0.6304, 0.6638)
Y (0.1848, 0.3696, 0.3362)
Y (0.5201, 0.0402, 0.3316)
Y (0.4799, 0.9598, 0.6684)



5.
Rb2TcF7 | PBE-GGA | optimized geometry

M_tot = 2.00 μB/cell
Raw formation energy = -2.24 eV per atom
Distance to the lowest polymorph of the same formula = 0.198 eV per atom

abc: 6.5383 6.5383 6.5384
angles: 60.00 60.00 90.00
Site moments in Bohr magnetons follow the coordinates.
Element x y z (fractional)
Tc (0.0000, 0.0000, 0.0000)  1.99
Rb (0.7500, 0.2500, 0.5000)  0.00
Rb (0.2500, 0.7500, 0.5000)  0.00
F (0.5000, 0.5000, 0.0000)  -0.42
F (0.2088, 0.2088, 0.5824)  0.06
F (0.7912, 0.7912, 0.4176)  0.06
F (0.2088, 0.2088, 0.0000)  0.06
F (0.7912, 0.7912, 0.0000)  0.06
F (0.7912, 0.2088, 0.0000)  0.06
F (0.2088, 0.7912, 0.0000)  0.06



6.
RbSn3I8 | PBE-GGA | optimized geometry

M_tot = 0.00 μB/cell
Raw formation energy = -0.58 eV per atom

abc: 9.5350 9.4679 8.8904
angles: 120.48 90.00 120.23
Element x y z (fractional)
Rb (0.0000, 0.0000, 0.0000)
Sn (0.5000, 0.0000, 0.0000)
Sn (0.5000, 0.5000, 0.0000)
Sn (0.0000, 0.5000, 0.0000)
I (0.2577, 0.5155, 0.7545)
I (0.7423, 0.4845, 0.2455)
I (0.2902, 0.0175, 0.7496)
I (0.7273, 0.0175, 0.7496)
I (0.7353, 0.4705, 0.7493)
I (0.2647, 0.5295, 0.2507)
I (0.2727, 0.9825, 0.2504)
I (0.7098, 0.9825, 0.2504)



| no. | DFT total energy (eV per atom) |
| --- | --- |
| 1 | -3.304 |
| 2 | -3.434 |
| 3 | -6.266 |
| 4 | -5.538 |
| 5 | -4.782 |
| 6 | -2.695 |

=====

First-principles (GGA-PBE) data for a geometry-optimized Nd8Dy2Pb structure, as listed in Alexandria via LeMat-Bulk.

Geometry as POSCAR:
```
Nd8Dy2Pb
1.0
0.4547 -4.8832 -1.1824
8.1213 0.7290 0.1126
-2.6252 0.1264 9.2307
Dy Nd Pb
2 8 1
direct
0.7757 0.3676 0.5515 Dy
0.2243 0.6324 0.4485 Dy
0.6785 0.9071 0.3570 Nd
0.4091 0.5573 0.8182 Nd
0.3215 0.0929 0.6430 Nd
0.9561 0.2707 0.9122 Nd
0.8620 0.8191 0.7240 Nd
0.0439 0.7293 0.0878 Nd
0.5909 0.4427 0.1818 Nd
0.1380 0.1809 0.2760 Nd
0.5000 0.0000 0.0000 Pb
```

DFT formation energy	-0.0809	eV/atom

=====
~~~

**Worked solution**
Li2HoHf2S6 | Alexandria via LeMat-Bulk | GGA-PBE | optimized geometry; energy relative to the elements, uncorrected = -1644.0 meV/atom; D(E_F) = 3.67 states/eV/cell; symmetry = C2/m
1.0
-3.294 -4.829 2.693
6.252 -0.684 -1.365
0.471 3.998 5.192
S Ho Hf Li
6 1 2 2
Cartesian
2.779 2.299 3.473
0.649 -3.813 3.047
2.520 -1.068 4.838
4.011 -2.354 1.618
0.909 -0.446 1.682
-0.582 0.839 4.902
0.236 1.999 2.596
0.136 -1.442 3.931
3.293 -0.072 2.589
4.669 -1.371 -0.692
-1.711 -4.141 2.020

=====

1.
SrAsPd2C | PBE-GGA | optimized geometry

Energy of formation = 1.884 eV per atom
M_tot = 0.77 μB/cell

abc: 5.2081 4.5856 5.2081
angles: 90.00 90.00 90.00
Site moments in Bohr magnetons follow the coordinates.
Element x y z (fractional)
Sr (0.0000, 0.0000, 0.0000)  0.04
As (0.5000, 0.5000, 0.5000)  -0.18
C (0.0000, 0.5000, 0.0000)  0.55
Pd (0.0000, 0.0000, 0.5000)  0.04
Pd (0.5000, 0.0000, 0.0000)  0.00



2.
In2P | PBE-GGA | optimized geometry

Energy of formation = 0.195 eV per atom
M_tot = 0.00 μB/cell
Distance to the lowest polymorph of the same formula = 0.229 eV per atom

abc: 4.9752 4.9752 6.5138
angles: 90.00 90.00 120.00
Element x y z (fractional)
In (0.0000, 0.0000, 0.0000)
In (0.0000, 0.0000, 0.5000)
In (0.3333, 0.6667, 0.2500)
In (0.6667, 0.3333, 0.7500)
P (0.6667, 0.3333, 0.2500)
P (0.3333, 0.6667, 0.7500)



3.
YZr2H2 | PBE-GGA | optimized geometry

M_tot = 0.00 μB/cell
Distance to the lowest polymorph of the same formula = 0.000 eV per atom

abc: 3.9261 3.9261 6.1891
angles: 71.51 71.51 90.00
Element x y z (fractional)
Y (0.0000, 0.0000, 0.0000)
H (0.7500, 0.2500, 0.5000)
H (0.2500, 0.7500, 0.5000)
Zr (0.3096, 0.3096, 0.3808)
Zr (0.6904, 0.6904, 0.6192)



4.
La2Pr2DyY4 | PBE-GGA | optimized geometry

Energy of formation = 0.004 eV per atom
M_tot = 0.00 μB/cell

abc: 3.6764 9.6914 9.7596
angles: 115.22 90.00 100.93
Element x y z (fractional)
La (0.3354, 0.6707, 0.9999)
La (0.6646, 0.3293, 0.0001)
Pr (0.8527, 0.7054, 0.3362)
Pr (0.1473, 0.2946, 0.6638)
Dy (0.0000, 0.0000, 0.0000)
Y (0.8152, 0.6304, 0.6638)
Y (0.1848, 0.3696, 0.3362)
Y (0.5201, 0.0402, 0.3316)
Y (0.4799, 0.9598, 0.6684)



5.
Rb2TcF7 | PBE-GGA | optimized geometry

M_tot = 2.00 μB/cell
Raw formation energy = -2.24 eV per atom
Distance to the lowest polymorph of the same formula = 0.198 eV per atom

abc: 6.5383 6.5383 6.5384
angles: 60.00 60.00 90.00
Site moments in Bohr magnetons follow the coordinates.
Element x y z (fractional)
Tc (0.0000, 0.0000, 0.0000)  1.99
Rb (0.7500, 0.2500, 0.5000)  0.00
Rb (0.2500, 0.7500, 0.5000)  0.00
F (0.5000, 0.5000, 0.0000)  -0.42
F (0.2088, 0.2088, 0.5824)  0.06
F (0.7912, 0.7912, 0.4176)  0.06
F (0.2088, 0.2088, 0.0000)  0.06
F (0.7912, 0.7912, 0.0000)  0.06
F (0.7912, 0.2088, 0.0000)  0.06
F (0.2088, 0.7912, 0.0000)  0.06



6.
RbSn3I8 | PBE-GGA | optimized geometry

M_tot = 0.00 μB/cell
Raw formation energy = -0.58 eV per atom

abc: 9.5350 9.4679 8.8904
angles: 120.48 90.00 120.23
Element x y z (fractional)
Rb (0.0000, 0.0000, 0.0000)
Sn (0.5000, 0.0000, 0.0000)
Sn (0.5000, 0.5000, 0.0000)
Sn (0.0000, 0.5000, 0.0000)
I (0.2577, 0.5155, 0.7545)
I (0.7423, 0.4845, 0.2455)
I (0.2902, 0.0175, 0.7496)
I (0.7273, 0.0175, 0.7496)
I (0.7353, 0.4705, 0.7493)
I (0.2647, 0.5295, 0.2507)
I (0.2727, 0.9825, 0.2504)
I (0.7098, 0.9825, 0.2504)



| no. | DFT total energy (eV per atom) |
| --- | --- |
| 1 | -3.304 |
| 2 | -3.434 |
| 3 | -6.266 |
| 4 | -5.538 |
| 5 | -4.782 |
| 6 | -2.695 |

=====

First-principles (GGA-PBE) data for a geometry-optimized Nd8Dy2Pb structure, as listed in Alexandria via LeMat-Bulk.

Geometry as POSCAR:
```
Nd8Dy2Pb
1.0
0.4547 -4.8832 -1.1824
8.1213 0.7290 0.1126
-2.6252 0.1264 9.2307
Dy Nd Pb
2 8 1
direct
0.7757 0.3676 0.5515 Dy
0.2243 0.6324 0.4485 Dy
0.6785 0.9071 0.3570 Nd
0.4091 0.5573 0.8182 Nd
0.3215 0.0929 0.6430 Nd
0.9561 0.2707 0.9122 Nd
0.8620 0.8191 0.7240 Nd
0.0439 0.7293 0.0878 Nd
0.5909 0.4427 0.1818 Nd
0.1380 0.1809 0.2760 Nd
0.5000 0.0000 0.0000 Pb
```

DFT formation energy	-0.0809	eV/atom

=====